Request:
Write out the whole of the contents below character by character.
Source:
'''
No. 1
First-principles (PBE) data for an optimized crystal structure of Li2TiInGa, as listed in the Alexandria database.

Calculated values
E_form	0.708	eV per atom
crystal system	tetragonal

Unit cell a=5.068 b=5.068 c=5.013 alpha=90.00 beta=90.00 gamma=90.00
Space group P4/mmm (No. 123)
Symmetry-distinct sites (fractional):
Li 0.000 0.500 0.000 (multiplicity 2)
Ti 0.000 0.000 0.000 (multiplicity 1)
In 0.500 0.500 0.500 (multiplicity 1)
Ga 0.000 0.000 0.500 (multiplicity 1)

No. 2
First-principles (PBE) data for an optimized crystal structure of Ba2HgBr, as listed in the Alexandria database.

Calculated values
crystal system	trigonal
E above lowest polymorph	298	meV per atom

Unit cell a=4.6351 b=4.6351 c=32.9398 alpha=90.00 beta=90.00 gamma=120.00
Space group R3m (No. 160, hexagonal axes)
Symmetry-distinct sites (fractional):
Ba 0.0000 0.0000 0.0000 (multiplicity 3)
Ba 0.0000 0.0000 0.2186 (multiplicity 3)
Hg 0.0000 0.0000 0.4828 (multiplicity 3)
Br 0.0000 0.0000 0.7231 (multiplicity 3)

No. 3
First-principles (PBE) data for an optimized crystal structure of TiCrSbTe2, as listed in the Alexandria database.

Calculated values
crystal system	tetragonal
E above lowest polymorph	0	meV per atom

Unit cell a=5.317 b=5.317 c=5.285 alpha=90.00 beta=90.00 gamma=90.00
Space group P4/mmm (No. 123)
Symmetry-distinct sites (fractional):
Ti 0.000 0.000 0.000 (multiplicity 1)
Cr 0.500 0.500 0.500 (multiplicity 1)
Sb 0.000 0.000 0.500 (multiplicity 1)
Te 0.000 0.500 0.000 (multiplicity 2)

Number 1: ρ 3.18 g/cm3, electronic total energy -2.79 eV/atom. Number 2: ρ 4.51 g/cm3, electronic total energy -2.19 eV/atom. Number 3: ρ 5.30 g/cm3, electronic total energy -5.20 eV/atom.

* * * * *

[1]
This record from the Alexandria database describes a relaxed structure of La5InRh. The functional is PBE.

Calculated values
DFT formation energy = -30.7 kJ/mol of atoms

abc: 6.404 6.404 11.977
angles: 76.94 76.94 73.12
Element x y z (fractional)
La1 0.980 0.020 0.750
La2 0.020 0.980 0.250
La3 0.440 0.027 0.363
La4 0.210 0.559 0.549
La5 0.560 0.973 0.637
In1 0.450 0.550 0.250
La6 0.790 0.441 0.451
La7 0.027 0.440 0.863
La8 0.559 0.210 0.049
Rh1 0.000 0.000 0.000
La9 0.973 0.560 0.137
La10 0.441 0.790 0.951
Rh2 0.000 0.000 0.500
In2 0.550 0.450 0.750

---

[2]
This record from the Alexandria database describes a relaxed structure of La2InRh2. The functional is PBE.

Calculated values
DFT formation energy = -38.1 kJ/mol of atoms

abc: 3.894 3.894 9.252
angles: 77.85 77.85 90.00
Element x y z (fractional)
In1 0.000 0.000 0.000
La1 0.369 0.369 0.263
Rh1 0.250 0.750 0.500
La2 0.631 0.631 0.737
Rh2 0.750 0.250 0.500

---

[3]
This record from the Alexandria database describes a relaxed structure of La8In2Rh3. The functional is PBE.

Calculated values
DFT formation energy = -42.2 kJ/mol of atoms

abc: 5.101 11.397 10.039
angles: 133.36 90.00 90.00
Element x y z (fractional)
Rh1 0.500 0.000 0.000
La1 0.500 0.170 0.758
La2 0.500 0.329 0.216
La3 0.500 0.830 0.242
La4 0.000 0.396 0.760
Rh2 0.000 0.716 0.021
La5 0.000 0.035 0.195
In1 0.500 0.758 0.525
Rh3 0.000 0.284 0.979
La6 0.000 0.965 0.805
La7 0.000 0.604 0.240
La8 0.500 0.671 0.784
In2 0.500 0.242 0.475
'''
Written answer:
No. 1
First-principles (PBE) data for an optimized crystal structure of Li2TiInGa, as listed in the Alexandria database.

Calculated values
E_form	0.708	eV per atom
crystal system	tetragonal

Unit cell a=5.068 b=5.068 c=5.013 alpha=90.00 beta=90.00 gamma=90.00
Space group P4/mmm (No. 123)
Symmetry-distinct sites (fractional):
Li 0.000 0.500 0.000 (multiplicity 2)
Ti 0.000 0.000 0.000 (multiplicity 1)
In 0.500 0.500 0.500 (multiplicity 1)
Ga 0.000 0.000 0.500 (multiplicity 1)

No. 2
First-principles (PBE) data for an optimized crystal structure of Ba2HgBr, as listed in the Alexandria database.

Calculated values
crystal system	trigonal
E above lowest polymorph	298	meV per atom

Unit cell a=4.6351 b=4.6351 c=32.9398 alpha=90.00 beta=90.00 gamma=120.00
Space group R3m (No. 160, hexagonal axes)
Symmetry-distinct sites (fractional):
Ba 0.0000 0.0000 0.0000 (multiplicity 3)
Ba 0.0000 0.0000 0.2186 (multiplicity 3)
Hg 0.0000 0.0000 0.4828 (multiplicity 3)
Br 0.0000 0.0000 0.7231 (multiplicity 3)

No. 3
First-principles (PBE) data for an optimized crystal structure of TiCrSbTe2, as listed in the Alexandria database.

Calculated values
crystal system	tetragonal
E above lowest polymorph	0	meV per atom

Unit cell a=5.317 b=5.317 c=5.285 alpha=90.00 beta=90.00 gamma=90.00
Space group P4/mmm (No. 123)
Symmetry-distinct sites (fractional):
Ti 0.000 0.000 0.000 (multiplicity 1)
Cr 0.500 0.500 0.500 (multiplicity 1)
Sb 0.000 0.000 0.500 (multiplicity 1)
Te 0.000 0.500 0.000 (multiplicity 2)

Number 1: ρ 3.18 g/cm3, electronic total energy -2.79 eV/atom. Number 2: ρ 4.51 g/cm3, electronic total energy -2.19 eV/atom. Number 3: ρ 5.30 g/cm3, electronic total energy -5.20 eV/atom.

* * * * *

[1]
This record from the Alexandria database describes a relaxed structure of La5InRh. The functional is PBE.

Calculated values
DFT formation energy = -30.7 kJ/mol of atoms

abc: 6.404 6.404 11.977
angles: 76.94 76.94 73.12
Element x y z (fractional)
La1 0.980 0.020 0.750
La2 0.020 0.980 0.250
La3 0.440 0.027 0.363
La4 0.210 0.559 0.549
La5 0.560 0.973 0.637
In1 0.450 0.550 0.250
La6 0.790 0.441 0.451
La7 0.027 0.440 0.863
La8 0.559 0.210 0.049
Rh1 0.000 0.000 0.000
La9 0.973 0.560 0.137
La10 0.441 0.790 0.951
Rh2 0.000 0.000 0.500
In2 0.550 0.450 0.750

---

[2]
This record from the Alexandria database describes a relaxed structure of La2InRh2. The functional is PBE.

Calculated values
DFT formation energy = -38.1 kJ/mol of atoms

abc: 3.894 3.894 9.252
angles: 77.85 77.85 90.00
Element x y z (fractional)
In1 0.000 0.000 0.000
La1 0.369 0.369 0.263
Rh1 0.250 0.750 0.500
La2 0.631 0.631 0.737
Rh2 0.750 0.250 0.500

---

[3]
This record from the Alexandria database describes a relaxed structure of La8In2Rh3. The functional is PBE.

Calculated values
DFT formation energy = -42.2 kJ/mol of atoms

abc: 5.101 11.397 10.039
angles: 133.36 90.00 90.00
Element x y z (fractional)
Rh1 0.500 0.000 0.000
La1 0.500 0.170 0.758
La2 0.500 0.329 0.216
La3 0.500 0.830 0.242
La4 0.000 0.396 0.760
Rh2 0.000 0.716 0.021
La5 0.000 0.035 0.195
In1 0.500 0.758 0.525
Rh3 0.000 0.284 0.979
La6 0.000 0.965 0.805
La7 0.000 0.604 0.240
La8 0.500 0.671 0.784
In2 0.500 0.242 0.475